# File
=====
88
Properties=species:S:1:pos:R:3:forces:R:3 method="wB97M-V/def2-TZVPD" homo_ha="-0.3609 / -0.3927" total_charge=+1 e_lumo_ev="-4.07 / -2.47" spin_multiplicity=5 de_lowest_ev=0.000 s2=6.35
Mn -0.12938 0.08276 0.78453 -0.40 -0.18 -0.20
C -2.04911 1.69563 0.12194 -0.35 -0.79 1.25
C -2.49638 0.80217 -0.88404 0.49 -0.31 0.74
C -2.36449 -0.41282 1.07363 -0.84 0.91 -0.52
C -2.05250 0.98604 1.38086 -0.43 -0.04 -1.22
C -2.67141 -0.48854 -0.31790 0.43 0.52 0.92
C -2.02478 3.17689 -0.00284 0.15 0.62 -0.15
H -1.65594 3.50525 -0.98570 -0.07 -0.07 0.23
H -1.39225 3.64474 0.76490 -0.17 -0.09 -0.22
H -3.03391 3.61101 0.10722 0.26 -0.18 0.00
C -2.32775 1.64833 2.68636 -0.04 0.34 0.37
H -1.82080 2.61860 2.76410 -0.05 -0.20 0.05
H -2.04674 1.04523 3.55240 -0.01 0.04 -0.07
H -3.40829 1.84986 2.78495 0.28 -0.07 -0.08
C -2.82620 -1.41804 2.07197 -0.08 -0.50 0.31
H -3.92490 -1.52305 2.04007 0.34 0.07 -0.03
H -2.56305 -1.13991 3.09895 -0.01 -0.08 -0.23
H -2.41049 -2.41929 1.87194 -0.11 0.22 0.12
C -3.35142 -1.63545 -0.95937 -0.14 -0.69 -0.44
H -4.44942 -1.53501 -0.93976 0.29 0.11 0.05
H -3.11735 -2.57563 -0.44704 -0.15 0.22 -0.13
H -3.06264 -1.75468 -2.01147 -0.08 -0.01 0.19
C -2.95396 1.23037 -2.21737 0.02 0.12 -0.81
H -3.95929 1.68009 -2.18947 0.22 -0.13 0.18
H -2.98815 0.39255 -2.91364 -0.11 0.16 0.14
H -2.28570 1.98089 -2.65012 -0.20 -0.04 0.08
C 1.25897 0.61848 -3.04820 -0.30 0.50 -0.21
C 0.21239 1.43655 -3.21414 0.45 -0.18 0.24
C -0.43515 1.69320 -4.54640 0.01 0.65 -0.01
C -1.33969 0.58704 -5.14258 -0.52 -0.17 -0.19
C -1.39418 -0.73090 -4.41108 0.35 -0.60 -0.19
C -0.32947 -1.53193 -4.26366 -0.58 0.08 -0.29
C 1.01658 -1.23766 -4.86796 0.15 -0.39 -0.16
C 1.87968 -0.14159 -4.18792 0.62 -0.03 0.13
H 0.33755 1.92545 -5.29796 -0.10 -0.01 0.36
H -1.00405 0.42819 -6.18042 -0.21 -0.13 0.28
H -1.04769 2.60482 -4.44284 0.30 -0.26 -0.16
H 2.18333 0.55818 -4.98446 0.02 -0.08 0.40
H 1.76246 0.53948 -2.07791 -0.34 -0.02 -0.18
H -0.17698 2.00991 -2.36626 0.19 -0.32 -0.18
H 2.80012 -0.61839 -3.81380 -0.21 0.27 -0.23
H 1.59263 -2.17729 -4.85242 -0.17 0.34 -0.17
H -0.42787 -2.51138 -3.78407 -0.14 0.39 -0.18
H 0.90671 -0.95415 -5.92958 -0.14 -0.22 0.37
H -2.36584 0.97672 -5.20325 0.30 -0.11 -0.09
H -2.38836 -1.06565 -4.08610 0.56 0.02 -0.01
P 1.48885 1.95561 0.80115 0.38 0.41 -0.07
C 1.35346 3.12180 2.21238 -0.07 -0.03 0.13
H 2.17249 3.85489 2.12861 -0.30 -0.21 0.05
H 1.43899 2.60354 3.17552 -0.05 0.10 -0.35
H 0.38949 3.65122 2.18697 0.32 -0.16 -0.04
C 3.21328 1.35669 0.93313 0.15 0.01 0.04
H 3.86080 2.17483 1.28199 -0.08 -0.27 -0.15
H 3.55264 1.02190 -0.05618 -0.04 0.10 0.21
H 3.29257 0.50978 1.62854 -0.09 0.26 -0.15
C 1.59128 3.13210 -0.59126 0.11 0.20 -0.06
H 1.87304 2.61338 -1.51272 0.00 0.17 0.22
H 2.33781 3.90574 -0.35827 -0.17 -0.19 -0.11
H 0.62240 3.61818 -0.76255 0.24 -0.13 0.13
P 0.71339 -2.19906 -0.05215 -0.04 -0.42 -0.30
C -0.46351 -3.22866 -0.99530 -0.11 -0.06 -0.19
H 0.03536 -4.12426 -1.39395 -0.05 0.23 0.14
H -0.86094 -2.64450 -1.83180 0.01 -0.13 0.27
H -1.29774 -3.54995 -0.36079 0.26 0.10 -0.10
C 2.14954 -2.17731 -1.18323 0.33 -0.08 0.03
H 1.80830 -2.03902 -2.21453 0.03 -0.03 0.20
H 2.70710 -3.12221 -1.10090 -0.18 0.24 -0.13
H 2.82659 -1.35300 -0.93298 -0.07 -0.16 -0.03
C 1.22998 -3.41224 1.21935 0.06 0.08 0.18
H 1.48693 -4.36628 0.73398 -0.06 0.31 0.11
H 0.40465 -3.58889 1.92295 0.20 0.08 -0.15
H 2.09492 -3.04519 1.78563 -0.26 -0.11 -0.21
C 2.82900 -2.08579 4.04816 0.04 -0.12 -0.08
Si 1.54272 -0.73576 4.18386 -0.71 0.15 0.23
C 0.30066 -1.24956 5.54568 0.20 0.12 -0.19
C 2.46020 0.80398 4.73864 0.05 -0.01 0.07
C 0.33233 -0.36028 2.73296 -0.18 -0.26 0.72
H 3.40305 -2.10094 4.98898 -0.17 0.03 -0.29
H 3.53347 -1.88432 3.23212 -0.02 -0.16 0.11
H 2.38589 -3.08122 3.91880 0.16 0.20 0.00
H 0.80253 -1.42753 6.50871 -0.08 0.04 -0.26
H -0.45389 -0.46197 5.70566 0.20 -0.26 -0.07
H -0.22280 -2.17808 5.26491 0.13 0.28 0.08
H 3.13875 1.16551 3.95394 -0.10 0.04 0.24
H 1.77589 1.60953 5.03907 0.20 -0.14 -0.09
H 3.07002 0.54409 5.61834 -0.14 0.12 -0.25
=====

# Assignment
Could you copy the whole of the calculation results above unchanged?

# Done
88
Properties=species:S:1:pos:R:3:forces:R:3 method="wB97M-V/def2-TZVPD" homo_ha="-0.3609 / -0.3927" total_charge=+1 e_lumo_ev="-4.07 / -2.47" spin_multiplicity=5 de_lowest_ev=0.000 s2=6.35
Mn -0.12938 0.08276 0.78453 -0.40 -0.18 -0.20
C -2.04911 1.69563 0.12194 -0.35 -0.79 1.25
C -2.49638 0.80217 -0.88404 0.49 -0.31 0.74
C -2.36449 -0.41282 1.07363 -0.84 0.91 -0.52
C -2.05250 0.98604 1.38086 -0.43 -0.04 -1.22
C -2.67141 -0.48854 -0.31790 0.43 0.52 0.92
C -2.02478 3.17689 -0.00284 0.15 0.62 -0.15
H -1.65594 3.50525 -0.98570 -0.07 -0.07 0.23
H -1.39225 3.64474 0.76490 -0.17 -0.09 -0.22
H -3.03391 3.61101 0.10722 0.26 -0.18 0.00
C -2.32775 1.64833 2.68636 -0.04 0.34 0.37
H -1.82080 2.61860 2.76410 -0.05 -0.20 0.05
H -2.04674 1.04523 3.55240 -0.01 0.04 -0.07
H -3.40829 1.84986 2.78495 0.28 -0.07 -0.08
C -2.82620 -1.41804 2.07197 -0.08 -0.50 0.31
H -3.92490 -1.52305 2.04007 0.34 0.07 -0.03
H -2.56305 -1.13991 3.09895 -0.01 -0.08 -0.23
H -2.41049 -2.41929 1.87194 -0.11 0.22 0.12
C -3.35142 -1.63545 -0.95937 -0.14 -0.69 -0.44
H -4.44942 -1.53501 -0.93976 0.29 0.11 0.05
H -3.11735 -2.57563 -0.44704 -0.15 0.22 -0.13
H -3.06264 -1.75468 -2.01147 -0.08 -0.01 0.19
C -2.95396 1.23037 -2.21737 0.02 0.12 -0.81
H -3.95929 1.68009 -2.18947 0.22 -0.13 0.18
H -2.98815 0.39255 -2.91364 -0.11 0.16 0.14
H -2.28570 1.98089 -2.65012 -0.20 -0.04 0.08
C 1.25897 0.61848 -3.04820 -0.30 0.50 -0.21
C 0.21239 1.43655 -3.21414 0.45 -0.18 0.24
C -0.43515 1.69320 -4.54640 0.01 0.65 -0.01
C -1.33969 0.58704 -5.14258 -0.52 -0.17 -0.19
C -1.39418 -0.73090 -4.41108 0.35 -0.60 -0.19
C -0.32947 -1.53193 -4.26366 -0.58 0.08 -0.29
C 1.01658 -1.23766 -4.86796 0.15 -0.39 -0.16
C 1.87968 -0.14159 -4.18792 0.62 -0.03 0.13
H 0.33755 1.92545 -5.29796 -0.10 -0.01 0.36
H -1.00405 0.42819 -6.18042 -0.21 -0.13 0.28
H -1.04769 2.60482 -4.44284 0.30 -0.26 -0.16
H 2.18333 0.55818 -4.98446 0.02 -0.08 0.40
H 1.76246 0.53948 -2.07791 -0.34 -0.02 -0.18
H -0.17698 2.00991 -2.36626 0.19 -0.32 -0.18
H 2.80012 -0.61839 -3.81380 -0.21 0.27 -0.23
H 1.59263 -2.17729 -4.85242 -0.17 0.34 -0.17
H -0.42787 -2.51138 -3.78407 -0.14 0.39 -0.18
H 0.90671 -0.95415 -5.92958 -0.14 -0.22 0.37
H -2.36584 0.97672 -5.20325 0.30 -0.11 -0.09
H -2.38836 -1.06565 -4.08610 0.56 0.02 -0.01
P 1.48885 1.95561 0.80115 0.38 0.41 -0.07
C 1.35346 3.12180 2.21238 -0.07 -0.03 0.13
H 2.17249 3.85489 2.12861 -0.30 -0.21 0.05
H 1.43899 2.60354 3.17552 -0.05 0.10 -0.35
H 0.38949 3.65122 2.18697 0.32 -0.16 -0.04
C 3.21328 1.35669 0.93313 0.15 0.01 0.04
H 3.86080 2.17483 1.28199 -0.08 -0.27 -0.15
H 3.55264 1.02190 -0.05618 -0.04 0.10 0.21
H 3.29257 0.50978 1.62854 -0.09 0.26 -0.15
C 1.59128 3.13210 -0.59126 0.11 0.20 -0.06
H 1.87304 2.61338 -1.51272 0.00 0.17 0.22
H 2.33781 3.90574 -0.35827 -0.17 -0.19 -0.11
H 0.62240 3.61818 -0.76255 0.24 -0.13 0.13
P 0.71339 -2.19906 -0.05215 -0.04 -0.42 -0.30
C -0.46351 -3.22866 -0.99530 -0.11 -0.06 -0.19
H 0.03536 -4.12426 -1.39395 -0.05 0.23 0.14
H -0.86094 -2.64450 -1.83180 0.01 -0.13 0.27
H -1.29774 -3.54995 -0.36079 0.26 0.10 -0.10
C 2.14954 -2.17731 -1.18323 0.33 -0.08 0.03
H 1.80830 -2.03902 -2.21453 0.03 -0.03 0.20
H 2.70710 -3.12221 -1.10090 -0.18 0.24 -0.13
H 2.82659 -1.35300 -0.93298 -0.07 -0.16 -0.03
C 1.22998 -3.41224 1.21935 0.06 0.08 0.18
H 1.48693 -4.36628 0.73398 -0.06 0.31 0.11
H 0.40465 -3.58889 1.92295 0.20 0.08 -0.15
H 2.09492 -3.04519 1.78563 -0.26 -0.11 -0.21
C 2.82900 -2.08579 4.04816 0.04 -0.12 -0.08
Si 1.54272 -0.73576 4.18386 -0.71 0.15 0.23
C 0.30066 -1.24956 5.54568 0.20 0.12 -0.19
C 2.46020 0.80398 4.73864 0.05 -0.01 0.07
C 0.33233 -0.36028 2.73296 -0.18 -0.26 0.72
H 3.40305 -2.10094 4.98898 -0.17 0.03 -0.29
H 3.53347 -1.88432 3.23212 -0.02 -0.16 0.11
H 2.38589 -3.08122 3.91880 0.16 0.20 0.00
H 0.80253 -1.42753 6.50871 -0.08 0.04 -0.26
H -0.45389 -0.46197 5.70566 0.20 -0.26 -0.07
H -0.22280 -2.17808 5.26491 0.13 0.28 0.08
H 3.13875 1.16551 3.95394 -0.10 0.04 0.24
H 1.77589 1.60953 5.03907 0.20 -0.14 -0.09
H 3.07002 0.54409 5.61834 -0.14 0.12 -0.25